Mamono Sweeper

By: Derek Yu

On: March 6th, 2011

Mamono Sweeper, by Hojamaka Games

Mamono Sweeper came out last year, but I just tried it on a friend’s recommendation and I like it! It’s a take on the classic puzzle game Minesweeper that makes things a bit more interesting by replacing the mines with monsters of varying levels. If you’re at the same level as a monster when you reveal it, then you take no damage; otherwise, you take damage equal to the monster’s level. The numbered tiles show you the sum of the adjacent monsters’ levels, rather than the number of monsters.

The description below the game contains links to more difficult modes that have larger playfields and more monsters. Would have been nice if these were all included in one package, but oh well.

(Attached: crystal structures)
Record 1
Zr6NiBi2: relaxed, r²SCAN.

Computed properties:
The total magnetic moment is 0.000 μB per formula unit. The value obtained for the energy relative to the elements is -0.435 eV/atom. The calculated total energy is -29.934 eV per atom. As for the space group: P-62m, No. 189.

abc: 7.8928 7.8928 3.7019
angles: 90.00 90.00 120.00
Last column: nearest neighbours and their distance in Å.
Fractional positions:
Zr  0.0000  0.3943  0.0000  4 Bi 3.05, 1 Ni 3.11, 4 Zr 3.28
Zr  0.0000  0.7638  0.5000  2 Ni 2.63
Zr  0.2362  0.2362  0.5000  2 Ni 2.63
Zr  0.3943  0.0000  0.0000  4 Bi 3.05, 1 Ni 3.11, 4 Zr 3.28
Zr  0.6057  0.6057  0.0000  4 Bi 3.05, 1 Ni 3.11, 4 Zr 3.28
Zr  0.7638  0.0000  0.5000  2 Ni 2.63
Ni  0.0000  0.0000  0.0000  6 Zr 2.63
Bi  0.3333  0.6667  0.5000  9 Zr 3.05-3.09
Bi  0.6667  0.3333  0.5000  9 Zr 3.05-3.09

Record 2
BiO2: relaxed, r²SCAN.

Computed properties:
The total magnetic moment is 0.000 μB per formula unit. The value obtained for the energy relative to the elements is -1.046 eV/atom. The value obtained for the energy above the most stable polymorph in this dataset is 72 meV/atom. The calculated total energy is -24.528 eV per atom.

abc: 6.2149 6.2149 6.2149
angles: 110.71 108.85 108.86
Last column: nearest neighbours and their distance in Å.
Fractional positions:
O  0.1924  0.4425  0.7499  3 Bi 2.22-2.25
O  0.1927  0.9425  0.2501  3 Bi 2.22-2.25
O  0.3079  0.9999  0.8078  3 Bi 2.23-2.25
O  0.8073  0.0575  0.7499  3 Bi 2.22-2.25
O  0.6921  0.0001  0.1922  3 Bi 2.23-2.25
O  0.6921  0.4999  0.6920  3 Bi 2.23-2.25
O  0.3079  0.5001  0.3080  3 Bi 2.23-2.25
Bi  0.0000  0.5000  0.0000  6 O 2.23-2.25
Bi  0.0000  0.0000  0.5000  6 O 2.23-2.25
Bi  0.5002  0.2500  0.2502  6 O 2.22-2.25
Bi  0.4998  0.7500  0.7498  6 O 2.22-2.25
O  0.8076  0.5575  0.2501  3 Bi 2.22-2.25

Record 3
BiO2: relaxed, r²SCAN.

Computed properties:
The total magnetic moment is 0.000 μB per formula unit. The value obtained for the energy relative to the elements is -1.118 eV/atom. The value obtained for the energy above the most stable polymorph in this dataset is 0 meV/atom. The calculated total energy is -24.601 eV per atom. As for the space group: C2/c, No. 15.

abc: 6.7233 6.7233 5.5888
angles: 106.85 106.85 45.47
Last column: nearest neighbours and their distance in Å.
Fractional positions:
Bi  0.0000  0.5000  0.0000  6 O 2.10-2.15
Bi  0.2334  0.7666  0.7500  4 O 2.18-2.31
Bi  0.5000  0.0000  0.5000  6 O 2.10-2.15
Bi  0.7666  0.2334  0.2500  4 O 2.18-2.31
O  0.0102  0.1769  0.9801  3 Bi 2.10-2.31
O  0.1769  0.0102  0.4801  3 Bi 2.10-2.31
O  0.2614  0.3863  0.3518  2 Bi 2.13-2.15
O  0.3863  0.2614  0.8518  2 Bi 2.13-2.15
O  0.6137  0.7386  0.1482  2 Bi 2.13-2.15
O  0.7386  0.6137  0.6482  2 Bi 2.13-2.15
O  0.8231  0.9898  0.5199  3 Bi 2.10-2.31
O  0.9898  0.8231  0.0199  3 Bi 2.10-2.31

Record 4
Bi13O20: relaxed, r²SCAN.

Computed properties:

TIGdb: Entry for Mamono Sweeper

  • Phubans


  • Klrtcnwqkle Wehwjswl

    You should check out Cave Story.

  • Namo Dynamicite

    Trollin' hard

  • guest

    “Derek Yu Likes It!” –

  • Narvius

    My mom is probably better at this game than you are.
    And yes, I mean it literally.

  • lugburz

    Why do people even bother with this kind of crap?

    This took time to make. Why? What was the point?

  • Jomo

    Looks like fun to me. At least it's not another uninspired 2-D platformer or RPGMaker game.

  • John Sandoval

    “Make the games you want to make”-Our Benevolent Leader TIGBot

  • renkin

    I hope no one is implying minesweeper is a bad game. The concept deserves the puzzle game nobel prize.

  • joehonkie

    Playing this on huge is the only way to play.

  • James

    Have you played it? The leveling up mechanic gives minesweeper a new layer of overarching strategy. It evokes a gameplay style not entirely unlike Desktop Dungeons, which is high praise for a minesweeper game.

  • Guess-T

    Hi Derek, the tag is misspelled: It's Hoj*a*maka games.

  • Derek Yu

    Whoops, thanks!

  • Ephriam Zachary Knight

    I love this new twist on minesweeper. I unfortunately was unable to clear the entire board before dying, but the new strategy is fun.

    I look forward to playing this more when I am not at work.

  • meepmeep

    It was made purely to annoy you.

  • SirNiko

    I especially like how the HP mechanic takes away the 'oops, you lose' of Minesweeper. You have a small margin for error, and you don't have that problem where you finish minesweeper with two blocks and a 50% chance between winning and losing.

    This is a great morning brain training game.

  • Robert2

    Great to see this on TIGSource, I've been an addict since it came out.

  • Tanner

    There's also an iOS port that's pretty great, but it doesn't have all the modes that the web version does.

  • Luke

    I like the idea, but I think to much of the gameplay consists of mechanical “no-brainer” clicking. To improve this: when you are at level N, the game should automatically open all squares adjacent to the N-valued squares that you can see. There can't be any dangerous monsters there, so this essentially generalises the minesweeper behaviour for 0-value squares.

  • joehonkie

    Derek, have you played Cluesweeper?

Crystal structures, kept here for reference =
┌──
# 1
Computed, not measured: a relaxed Y2Mn2O7 crystal at the r2SCAN level of DFT.

Structure (CIF):
```
data_Y2Mn2O7
_symmetry_space_group_name_H-M 'P 1'
_symmetry_Int_Tables_number 1
_symmetry_space_group_name_Hall 'P 1'
_cell_length_a 7.0013
_cell_length_b 7.0013
_cell_length_c 7.0013
_cell_angle_alpha 60.00
_cell_angle_beta 60.00
_cell_angle_gamma 60.00
loop_
_atom_site_label
_atom_site_type_symbol
_atom_site_fract_x
_atom_site_fract_y
_atom_site_fract_z
_atom_site_occupancy
Y1 Y 0.0000 0.0000 0.0000 1
Y2 Y 0.0000 0.0000 0.5000 1
Y3 Y 0.0000 0.5000 0.0000 1
Y4 Y 0.5000 0.0000 0.0000 1
Mn1 Mn 0.0000 0.5000 0.5000 1
Mn2 Mn 0.5000 0.0000 0.5000 1
Mn3 Mn 0.5000 0.5000 0.0000 1
Mn4 Mn 0.5000 0.5000 0.5000 1
O1 O 0.1250 0.1250 0.1250 1
O2 O 0.1724 0.1724 0.5776 1
O3 O 0.1724 0.5776 0.1724 1
O4 O 0.1724 0.5776 0.5776 1
O5 O 0.4224 0.4224 0.8276 1
O6 O 0.4224 0.8276 0.4224 1
O7 O 0.4224 0.8276 0.8276 1
O8 O 0.5776 0.1724 0.1724 1
O9 O 0.5776 0.1724 0.5776 1
O10 O 0.5776 0.5776 0.1724 1
O11 O 0.8276 0.4224 0.4224 1
O12 O 0.8276 0.4224 0.8276 1
O13 O 0.8276 0.8276 0.4224 1
O14 O 0.8750 0.8750 0.8750 1
```

Output
space group	No. 227

# 2
Computed, not measured: a relaxed MnZn4O5 crystal at the r2SCAN level of DFT.

Structure (CIF):
```
data_MnZn4O5
_symmetry_space_group_name_H-M 'P 1'
_symmetry_Int_Tables_number 1
_symmetry_space_group_name_Hall 'P 1'
_cell_length_a 6.1928
_cell_length_b 6.4845
_cell_length_c 12.5059
_cell_angle_alpha 89.94
_cell_angle_beta 86.82
_cell_angle_gamma 105.03
loop_
_atom_site_label
_atom_site_type_symbol
_atom_site_fract_x
_atom_site_fract_y
_atom_site_fract_z
_atom_site_occupancy
O1 O 0.1811 0.5453 0.2873 1
O2 O 0.5794 0.6450 0.6891 1
O3 O 0.7709 0.9431 0.8896 1
O4 O 0.6357 0.9085 0.2536 1
O5 O 0.1811 0.0453 0.2873 1
O6 O 0.2349 0.8098 0.8644 1
O7 O 0.3697 0.3410 0.4895 1
O8 O 0.9723 0.2430 0.0912 1
O9 O 0.3697 0.8410 0.4895 1
O10 O 0.5794 0.1450 0.6891 1
O11 O 0.0380 0.0080 0.6553 1
O12 O 0.8348 0.7056 0.4612 1
O13 O 0.7709 0.4431 0.8896 1
O14 O 0.6357 0.4085 0.2536 1
O15 O 0.0380 0.5080 0.6553 1
O16 O 0.8349 0.2057 0.4612 1
O17 O 0.9723 0.7430 0.0911 1
O18 O 0.4410 0.6101 0.0567 1
O19 O 0.2349 0.3098 0.8644 1
O20 O 0.4410 0.1101 0.0567 1
Zn1 Zn 0.4710 0.8676 0.9673 1
Zn2 Zn 0.3391 0.3344 0.3321 1
Zn3 Zn 0.0673 0.7656 0.5660 1
Zn4 Zn 0.0673 0.2656 0.5660 1
Zn5 Zn 0.5323 0.1312 0.5340 1
Zn6 Zn 0.6687 0.6671 0.1647 1
Zn7 Zn 0.1391 0.0341 0.1315 1
Zn8 Zn 0.6686 0.1671 0.1647 1
Zn9 Zn 0.9310 0.2326 0.9355 1
Zn10 Zn 0.5322 0.6312 0.5340 1
Zn11 Zn 0.3392 0.8344 0.3321 1
Zn12 Zn 0.4710 0.3676 0.9673 1
Zn13 Zn 0.9310 0.7325 0.9355 1
Zn14 Zn 0.7400 0.4348 0.7323 1
Zn15 Zn 0.1391 0.5341 0.1315 1
Zn16 Zn 0.7400 0.9347 0.7323 1
Mn1 Mn 0.2701 0.0689 0.7686 1
Mn2 Mn 0.2701 0.5688 0.7686 1
Mn3 Mn 0.8707 0.4643 0.3651 1
Mn4 Mn 0.8707 0.9643 0.3651 1
```

# 3
Computed, not measured: a relaxed MnZn4O5 crystal at the r2SCAN level of DFT.

Structure (CIF):
```
data_MnZn4O5
_symmetry_space_group_name_H-M 'P 1'
_symmetry_Int_Tables_number 1
└──

  • the_dannobot

    This game is awesome, it takes a simple game that everyone knows how to play and turns the rules around and makes you relearn it. I can play minesweeper in my sleep, so it makes my brain hurt to have to stop and actually think about it ;) Last game to give me a headache like this was Ikaruga, which is another game that changes the rules of a well-known genre.

    There are only two things I would change about this game. First, minesweeper has a rule that the first cell you click on a blank field is never a mine. The player has no clues at all, so it's cheap to kill them straight off, which happens a lot in this game. Second, minesweeper has the mechanism where if the player clicks a cell with both mouse buttons it clears all the adjacent cells. Maybe I missed it, but that feature is sorely missed in this game.

  • the_dannobot

    No way, that's half the fun! When you get a new level, you get to slaughter all those little bastards that were hedging you in before :)

  • ptoing

    This is actually good fun!